Return the calculation results below from the first line to the one with "-1.244 0.193" with every line break kept.
____________
No. 1
A structure of composition C15H22CuN6O3S2Se. Source: the OMol25 dataset; level of theory: the ωB97M-V functional and the def2-TZVPD basis.

```
50
Properties=species:S:1:pos:R:3:nbo_charge:R:1
Cu 0.353 -0.094 0.263 0.895
N 2.070 1.097 0.240 -0.921
C 2.792 0.772 1.481 -0.344
C 1.869 0.366 2.652 0.761
O 2.384 0.373 3.771 -0.719
O 0.688 0.009 2.346 -0.866
H 2.701 1.131 -0.552 0.368
H 1.656 2.031 0.294 0.416
H 3.438 1.581 1.826 0.195
H 3.428 -0.097 1.286 0.187
C 1.199 7.012 -1.070 -0.260
O 0.936 5.657 -0.733 -0.536
C -0.301 5.300 -0.290 0.028
S -1.524 6.445 -0.180 -0.333
S -0.421 3.626 -0.025 -0.366
H 2.226 7.014 -1.437 0.174
H 1.101 7.660 -0.198 0.187
H 0.512 7.371 -1.836 0.191
C 0.975 -2.830 1.329 -0.261
C 1.060 -4.373 1.229 -0.256
N 0.600 -4.838 -0.084 -0.420
C 1.432 -4.219 -1.118 -0.254
C 1.344 -2.672 -1.035 -0.256
N 0.449 -2.283 0.065 -0.493
C -0.882 -2.855 -0.186 -0.263
C -0.785 -4.400 -0.272 -0.253
H 1.951 -2.378 1.508 0.211
H 0.332 -2.485 2.137 0.237
H 0.443 -4.853 1.992 0.196
H 2.086 -4.722 1.372 0.195
H 1.093 -4.581 -2.091 0.193
H 2.460 -4.562 -0.978 0.195
H 0.949 -2.234 -1.953 0.211
H 2.319 -2.221 -0.844 0.203
H -1.260 -2.423 -1.113 0.216
H -1.537 -2.534 0.626 0.209
H -1.129 -4.761 -1.244 0.193
H -1.398 -4.880 0.494 0.196
Se -2.962 -0.148 -3.601 0.887
N -4.130 0.763 -2.613 -0.627
C -3.531 1.006 -1.472 0.153
C -4.108 1.747 -0.377 -0.196
C -3.345 1.922 0.712 -0.212
C -2.006 1.365 0.776 0.149
N -1.442 0.680 -0.171 -0.555
C -2.185 0.496 -1.328 0.260
N -1.696 -0.150 -2.356 -0.622
H -5.107 2.151 -0.469 0.225
H -3.691 2.490 1.564 0.233
H -1.406 1.528 1.664 0.247
```

Calculated values
**E**: -162653.2177 eV
**Gap between HOMO and LUMO**: 5.462 eV
**Charge**: -1

=====

No. 2
A structure of composition C26H36BCuN6O4S5. Source: the OMol25 dataset; level of theory: the ωB97M-V functional and the def2-TZVPD basis.

```
79
Properties=species:S:1:pos:R:3:lowdin_charge:R:1
Cu -2.875 1.591 0.795 0.120
C -3.823 -2.317 3.757 -0.031
N -2.815 -1.253 3.835 -0.117
C -1.760 -1.331 4.678 -0.055
C -1.070 -0.133 4.578 -0.047
N -1.744 0.654 3.651 -0.021
B -1.184 2.083 3.293 -0.491
N 0.160 1.804 2.577 -0.002
C 0.419 0.532 2.100 -0.085
C 1.658 0.485 1.542 0.003
N 2.172 1.828 1.734 -0.159
C 3.398 2.259 1.153 -0.098
C 1.187 2.587 2.253 -0.856
S 1.275 4.268 2.285 0.498
C -2.837 -0.075 3.219 -0.648
S -4.107 0.411 2.111 0.596
H -3.640 -2.896 4.653 0.081
H -3.541 -3.024 2.956 0.078
H -4.882 -1.944 3.688 0.085
H -1.591 -2.194 5.247 0.089
H -0.057 0.031 4.884 0.125
H -1.880 2.655 2.524 0.033
H -0.970 2.577 4.423 0.086
H -0.294 -0.296 2.139 0.101
H 2.254 -0.282 1.043 0.118
H 3.871 1.316 0.749 0.099
H 4.129 2.690 1.895 0.094
H 3.247 2.940 0.286 0.064
C -0.609 3.880 -4.098 -0.092
C -0.066 2.593 -3.570 -0.243
N -0.129 2.483 -2.108 -0.084
C 1.035 2.946 -1.385 -0.202
C 1.133 4.470 -1.396 -0.090
C -1.356 2.287 -1.557 -0.417
C -2.391 1.711 -2.499 0.003
N -1.642 2.550 -0.336 0.092
H -0.360 3.901 -5.191 0.092
H -0.033 4.705 -3.576 0.072
H -1.629 4.109 -4.019 0.044
H 1.046 2.616 -3.800 0.138
H -0.395 1.632 -4.052 0.117
H 1.946 2.636 -1.902 0.114
H 1.025 2.464 -0.390 0.106
H 1.399 4.911 -2.380 0.071
H 1.798 4.837 -0.629 0.040
H 0.202 4.836 -1.190 0.040
H -1.894 0.753 -2.756 0.090
H -2.511 2.238 -3.468 0.080
H -3.309 1.457 -1.947 0.075
H -0.946 3.072 0.141 0.043
O 0.602 -4.512 1.058 -0.480
S 0.083 -3.539 2.080 -0.064
O 0.378 -2.161 1.601 -0.512
O -1.368 -3.720 2.270 -0.503
S 0.861 -3.703 3.876 0.047
O 0.908 -0.796 -3.920 -0.555
S 0.982 -0.907 -2.394 0.992
C -0.433 -1.875 -1.835 -0.414
C -0.974 -1.495 -0.651 -0.105
C -2.102 -2.208 -0.210 -0.047
C -2.598 -3.288 -0.968 -0.077
C -1.900 -3.683 -2.046 -0.121
C -0.833 -2.987 -2.551 -0.072
C 2.260 -2.084 -1.968 -0.368
C 2.166 -2.948 -0.886 -0.086
C 3.177 -3.708 -0.452 -0.054
C 4.442 -3.702 -1.089 -0.065
C 4.567 -2.851 -2.199 -0.097
C 3.460 -2.055 -2.651 -0.099
H -0.579 -0.593 -0.202 0.084
H -2.649 -1.936 0.693 0.080
H -3.421 -3.897 -0.490 0.130
H -2.302 -4.497 -2.626 0.095
H -0.308 -3.214 -3.506 0.126
____________
No. 1
A structure of composition C15H22CuN6O3S2Se. Source: the OMol25 dataset; level of theory: the ωB97M-V functional and the def2-TZVPD basis.

```
50
Properties=species:S:1:pos:R:3:nbo_charge:R:1
Cu 0.353 -0.094 0.263 0.895
N 2.070 1.097 0.240 -0.921
C 2.792 0.772 1.481 -0.344
C 1.869 0.366 2.652 0.761
O 2.384 0.373 3.771 -0.719
O 0.688 0.009 2.346 -0.866
H 2.701 1.131 -0.552 0.368
H 1.656 2.031 0.294 0.416
H 3.438 1.581 1.826 0.195
H 3.428 -0.097 1.286 0.187
C 1.199 7.012 -1.070 -0.260
O 0.936 5.657 -0.733 -0.536
C -0.301 5.300 -0.290 0.028
S -1.524 6.445 -0.180 -0.333
S -0.421 3.626 -0.025 -0.366
H 2.226 7.014 -1.437 0.174
H 1.101 7.660 -0.198 0.187
H 0.512 7.371 -1.836 0.191
C 0.975 -2.830 1.329 -0.261
C 1.060 -4.373 1.229 -0.256
N 0.600 -4.838 -0.084 -0.420
C 1.432 -4.219 -1.118 -0.254
C 1.344 -2.672 -1.035 -0.256
N 0.449 -2.283 0.065 -0.493
C -0.882 -2.855 -0.186 -0.263
C -0.785 -4.400 -0.272 -0.253
H 1.951 -2.378 1.508 0.211
H 0.332 -2.485 2.137 0.237
H 0.443 -4.853 1.992 0.196
H 2.086 -4.722 1.372 0.195
H 1.093 -4.581 -2.091 0.193
H 2.460 -4.562 -0.978 0.195
H 0.949 -2.234 -1.953 0.211
H 2.319 -2.221 -0.844 0.203
H -1.260 -2.423 -1.113 0.216
H -1.537 -2.534 0.626 0.209
H -1.129 -4.761 -1.244 0.193